• Brief:
Restate all of the material below without additions.

• Input:
=====
# Al2InFe
Theoretical X-ray powder pattern, Cu Kα, 1.54184 Å. Input: a cell relaxed with GGA-PBE.
No peak broadening, texture or thermal motion is included.

```
data_Al2InFe
_symmetry_space_group_name_H-M 'R 3 m'
_symmetry_Int_Tables_number 160
_symmetry_space_group_name_Hall 'R 3 -2"'
_cell_length_a 3.0111
_cell_length_b 3.0111
_cell_length_c 26.0099
_cell_angle_alpha 90.00
_cell_angle_beta 90.00
_cell_angle_gamma 120.00
loop_
_atom_site_label
_atom_site_type_symbol
_atom_site_fract_x
_atom_site_fract_y
_atom_site_fract_z
Al1 Al 0.0000 0.0000 0.0000
Al2 Al 0.0000 0.0000 0.2479
In1 In 0.0000 0.0000 0.4869
Fe1 Fe 0.0000 0.0000 0.7374
```

Top 10 peaks for 2θ from 15° to 90°, sorted by position:
2θ 30.9, 2.890 Å, I 13
2θ 34.6, 2.595 Å, I 22
2θ 37.1, 2.420 Å, I 100
2θ 38.6, 2.331 Å, I 18
2θ 41.7, 2.167 Å, I 21
2θ 42.3, 2.135 Å, I 12
2θ 44.5, 2.034 Å, I 56
2θ 61.6, 1.506 Å, I 22
2θ 68.0, 1.380 Å, I 12
2θ 77.1, 1.237 Å, I 19

# Ca3H7Rh2
Theoretical X-ray powder pattern, Cu Kα, 1.54184 Å. Input: a cell relaxed with GGA-PBE.
No peak broadening, texture or thermal motion is included.

```
data_Ca3H7Rh2
_symmetry_space_group_name_H-M 'I 4/m m m'
_symmetry_Int_Tables_number 139
_symmetry_space_group_name_Hall '-I 4 2'
_cell_length_a 3.710
_cell_length_b 3.710
_cell_length_c 19.460
_cell_angle_alpha 90.00
_cell_angle_beta 90.00
_cell_angle_gamma 90.00
loop_
_atom_site_label
_atom_site_type_symbol
_atom_site_fract_x
_atom_site_fract_y
_atom_site_fract_z
=====

• Here it is:
# Al2InFe
Theoretical X-ray powder pattern, Cu Kα, 1.54184 Å. Input: a cell relaxed with GGA-PBE.
No peak broadening, texture or thermal motion is included.

```
data_Al2InFe
_symmetry_space_group_name_H-M 'R 3 m'
_symmetry_Int_Tables_number 160
_symmetry_space_group_name_Hall 'R 3 -2"'
_cell_length_a 3.0111
_cell_length_b 3.0111
_cell_length_c 26.0099
_cell_angle_alpha 90.00
_cell_angle_beta 90.00
_cell_angle_gamma 120.00
loop_
_atom_site_label
_atom_site_type_symbol
_atom_site_fract_x
_atom_site_fract_y
_atom_site_fract_z
Al1 Al 0.0000 0.0000 0.0000
Al2 Al 0.0000 0.0000 0.2479
In1 In 0.0000 0.0000 0.4869
Fe1 Fe 0.0000 0.0000 0.7374
```

Top 10 peaks for 2θ from 15° to 90°, sorted by position:
2θ 30.9, 2.890 Å, I 13
2θ 34.6, 2.595 Å, I 22
2θ 37.1, 2.420 Å, I 100
2θ 38.6, 2.331 Å, I 18
2θ 41.7, 2.167 Å, I 21
2θ 42.3, 2.135 Å, I 12
2θ 44.5, 2.034 Å, I 56
2θ 61.6, 1.506 Å, I 22
2θ 68.0, 1.380 Å, I 12
2θ 77.1, 1.237 Å, I 19

# Ca3H7Rh2
Theoretical X-ray powder pattern, Cu Kα, 1.54184 Å. Input: a cell relaxed with GGA-PBE.
No peak broadening, texture or thermal motion is included.

```
data_Ca3H7Rh2
_symmetry_space_group_name_H-M 'I 4/m m m'
_symmetry_Int_Tables_number 139
_symmetry_space_group_name_Hall '-I 4 2'
_cell_length_a 3.710
_cell_length_b 3.710
_cell_length_c 19.460
_cell_angle_alpha 90.00
_cell_angle_beta 90.00
_cell_angle_gamma 90.00
loop_
_atom_site_label
_atom_site_type_symbol
_atom_site_fract_x
_atom_site_fract_y
_atom_site_fract_z